Work order:
It remains to say how many lines of the notes below hold the word "symbols", as a bare number.

Source:
Version one
{"formula": "C39H32IrN3O5PSSe", "method": "ωB97M-V with the def2-TZVPD basis set", "symbols": ["Ir", "O", "C", "C", "C", "C", "C", "C", "C", "N", "C", "C", "N", "C", "C", "C", "C", "C", "C", "C", "O", "H", "H", "H", "H", "H", "H", "H", "H", "H", "H", "H", "H", "H", "H", "O", "S", "O", "O", "C", "C", "C", "C", "C", "C", "P", "C", "C", "C", "C", "C", "C", "C", "C", "C", "C", "C", "C", "H", "H", "H", "H", "H", "H", "H", "H", "H", "H", "H", "H", "H", "H", "Se", "C", "C", "C", "N", "C", "C", "H", "H", "H", "H"], "coordinates": [[-0.31307, 0.00033, -0.73535], [-0.25586, 1.39319, 1.03748], [-0.82552, 2.54887, 1.08799], [-1.52619, 2.95101, 2.25036], [-2.14166, 4.17454, 2.33198], [-2.07852, 5.08299, 1.26734], [-1.38012, 4.73624, 0.14112], [-0.75187, 3.48515, 0.02505], [-0.01670, 3.17927, -1.15041], [0.48367, 2.03937, -1.47591], [1.29973, 2.00932, -2.67659], [1.83860, 0.60433, -2.87261], [0.71619, -0.27863, -2.79802], [0.66301, -1.28101, -3.64322], [-0.39364, -2.20341, -3.80764], [-0.31120, -3.23349, -4.72388], [-1.33389, -4.09794, -5.10307], [-2.68694, -3.83599, -4.96221], [-3.27104, -2.70211, -4.44432], [-2.66859, -1.72558, -3.63079], [-3.13300, -0.63461, -3.36597], [-1.55824, 2.25204, 3.07505], [-2.68596, 4.44523, 3.22787], [-2.56948, 6.04228, 1.34180], [-1.31893, 5.42035, -0.69778], [0.15443, 4.02655, -1.82228], [2.13163, 2.71314, -2.57910], [0.70477, 2.29608, -3.55111], [2.53623, 0.36990, -2.06170], [2.36841, 0.52133, -3.82782], [1.52110, -1.45027, -4.29441], [0.65060, -3.36422, -5.20734], [-1.05026, -4.97011, -5.67760], [-3.36490, -4.54597, -5.42328], [-4.30685, -2.50035, -4.67861], [0.92447, -2.34035, -0.90674], [-0.28338, -3.04893, -0.36036], [-1.45244, -2.06824, -2.95112], [-1.14488, -2.00055, 0.33966], [0.57281, -3.68650, 1.11480], [0.51689, -4.98092, 1.58591], [1.20996, -5.30619, 2.74373], [1.95428, -4.33324, 3.39455], [2.02084, -3.03780, 2.89986], [1.31796, -2.70106, 1.74678], [1.24836, -0.96780, 1.10789], [1.26941, -0.17319, 2.75820], [2.41747, 0.28393, 3.39357], [2.35310, 0.71445, 4.71125], [1.14574, 0.70250, 5.39123], [-0.00361, 0.24725, 4.75820], [0.05658, -0.18308, 3.44514], [2.90036, -0.63345, 0.44867], [3.28311, 0.69746, 0.27470], [4.50661, 0.99735, -0.30094], [5.33877, -0.02704, -0.73237], [4.94166, -1.34931, -0.59522], [3.72354, -1.65605, -0.00969], [-0.06591, -5.72494, 1.05743], [1.17510, -6.31436, 3.13464], [2.48315, -4.57935, 4.30523], [2.61013, -2.29682, 3.42085], [3.36560, 0.28464, 2.87195], [3.25182, 1.05166, 5.21089], [1.10108, 1.04340, 6.41700], [-0.94436, 0.23202, 5.29253], [-0.82957, -0.52979, 2.92530], [2.60159, 1.48098, 0.58829], [4.80610, 2.02826, -0.43817], [6.28854, 0.20780, -1.19339], [5.58165, -2.14026, -0.96180], [3.38770, -2.68041, 0.07424], [-2.91627, 0.05696, 0.12726], [-3.85968, 1.70535, 0.14353], [-3.73823, 2.68103, -0.83951], [-4.46526, 3.85266, -0.70044], [-5.27932, 4.10302, 0.31747], [-5.39591, 3.16525, 1.25340], [-4.71879, 1.96045, 1.21370], [-3.09039, 2.52077, -1.68995], [-4.39132, 4.64445, -1.43855], [-6.06276, 3.40332, 2.07510], [-4.83826, 1.22688, 2.00023]], "mulliken_charge": [3.066, 0.515, -0.685, -0.540, -0.667, -0.895, -0.701, 1.213, -1.107, 0.304, -1.149, -0.444, -0.096, -0.463, 0.456, -0.268, -0.849, -0.051, -0.818, 0.342, -0.602, 0.428, 0.466, 0.373, 0.415, 0.363, 0.524, 0.452, -0.416, 0.698, 0.273, 0.318, 0.331, 0.323, 0.375, -0.390, 0.200, 0.198, -0.533, 0.945, -0.543, -0.624, -0.795, -0.245, -0.495, 0.862, 0.283, -0.371, -0.757, -0.671, -0.529, -0.614, 0.349, -0.385, -0.659, -0.694, -0.767, -1.001, 0.489, 0.395, 0.436, 0.493, 0.409, 0.442, 0.402, 0.478, 0.273, 0.398, 0.465, 0.397, 0.439, 0.402, 0.106, 0.178, -0.235, -0.523, -0.599, -0.500, -0.318, 0.525, 0.414, 0.379, 0.407], "charge": 0, "spin_multiplicity": 2}

Version two

Reply:
1